U of A researcher finds never-seen mineral inside 'super-deep diamond'

The mineral, calcium silicate perovskite, is the fourth-most abundant mineral on Earth

Image | Graham Pearson with diamond

Caption: Dr. Graham Pearson, seen here with a diamond used in a previous study, has discovered a never-before-seen mineral inside a super-deep diamond. (University of Alberta)

Researchers from the University of Alberta have found a never-before-seen mineral inside a diamond from the depths of South Africa.
The mineral, called calcium silicate perovskite, is the fourth-most abundant mineral on Earth with zetta-tonnes (or 10²¹ tonnes) of it deep below Earth's surface.
It was found unexpectedly by Graham Pearson, a professor in the University of Alberta's Earth and Atmospheric Sciences department, along with other researchers from the University of British Columbia.
"It's so unstable that we thought we'd never actually see it, to hold it in our hands at the surface of the Earth," Pearson told CBC's Radio Active(external link) Thursday. "It's really only through the unique physical properties of diamond that this sample has been preserved at all."
Pearson found the diamond while training other researchers. It is a super-deep diamond, meaning it was found in a kimberlite at a much deeper level than usual.
"The diamonds that most people have as jewelry come from around about 200 kilometres depth, which is very deep," Pearson said. But the super-deep diamonds are found 800 kilometres down.
Because diamonds are the most incompressible materials, the ones found deep in the Earth can trap otherwise-unstable materials and allow them to be viewable on the surface.
"[The kimberlites] are blasted toward the Earth's surface, preserving these unique pieces of Earth's mantle," Pearson said.

**Quantum chemistry results, kept here for reference:**
********
Entry 1:
Density functional theory data (wB97M-V/def2-TZVPD) for C37H38KN6O7P2 as an isolated structure in a non-equilibrium geometry.

```
! RIJCOSX wB97M-V def2-TZVPD def2/J DEFGRID3
* xyz -1 1
K -0.425 -0.143 1.539
C -5.930 -0.404 1.648
C -4.481 -0.799 1.545
N -3.538 0.091 1.445
N -3.973 1.376 1.628
C -3.000 2.274 1.933
O -1.794 2.032 2.198
C -3.478 3.719 1.893
C -4.718 4.136 1.451
C -4.886 5.519 1.174
C -3.920 6.489 1.431
C -2.709 5.985 1.967
C -2.500 4.659 2.229
C -4.150 -2.210 1.270
C -4.856 -3.290 1.886
C -4.391 -4.614 1.684
C -3.268 -4.792 0.877
C -2.576 -3.664 0.494
N -3.059 -2.451 0.549
H -6.357 0.173 0.804
H -6.121 0.261 2.510
H -6.585 -1.305 1.701
H -5.514 3.376 1.351
H -5.928 5.735 0.990
H -4.068 7.540 1.257
H -1.969 6.770 2.180
H -1.472 4.288 2.417
H -5.800 -3.181 2.468
H -4.873 -5.450 2.236
H -2.751 -5.736 0.860
H -1.602 -3.787 0.015
C 2.724 0.272 -2.219
P 1.391 -0.903 -1.890
C 2.333 -2.500 -1.901
C 0.539 -1.083 -3.579
C 1.244 -0.834 -4.781
C 0.566 -0.732 -5.985
C -0.793 -1.100 -6.044
C -1.459 -1.450 -4.840
C -0.841 -1.460 -3.611
P -1.620 -1.801 -2.027
C -3.148 -2.741 -2.577
C -2.241 -0.104 -1.565
H 3.403 -0.023 -2.999
H 3.424 0.433 -1.348
H 2.275 1.240 -2.483
H 2.985 -2.552 -2.739
H 1.552 -3.345 -1.928
H 2.982 -2.524 -1.043
H 2.324 -0.700 -4.819
H 1.116 -0.379 -6.841
H -1.323 -1.143 -6.948
H -2.547 -1.703 -4.882
H -3.864 -2.360 -3.288
H -3.679 -3.070 -1.682
H -2.739 -3.634 -3.137
H -2.881 0.125 -2.480
H -1.453 0.643 -1.581
H -2.655 -0.127 -0.541
C 4.630 -5.436 0.864
C 3.371 -4.670 1.129
C 2.138 -5.195 1.482
C 1.085 -4.340 1.807
N 1.108 -3.061 1.719
C 2.300 -2.533 1.458
C 3.415 -3.261 1.215
H 5.186 -4.879 0.167
H 4.365 -6.387 0.382
H 5.256 -5.597 1.732
H 1.982 -6.240 1.611
H 0.186 -4.730 2.111
H 2.431 -1.402 1.389
H 4.317 -2.786 0.991
O 4.016 0.371 0.818
C 3.202 1.307 1.027
O 1.911 1.351 1.085
C 3.853 2.707 1.189
C 5.262 2.811 1.188
C 5.869 4.029 1.184
C 5.166 5.211 1.266
C 3.801 5.082 1.442
C 3.071 3.867 1.423
N 3.023 6.331 1.755
O 1.996 6.266 2.382
O 3.536 7.386 1.403
N 7.371 4.196 1.263
O 8.077 3.293 0.926
O 7.765 5.266 1.709
H 5.814 1.914 1.181
H 5.614 6.188 1.384
H 1.949 3.897 1.452
*
```

Summary:
Relative energy (zero: lowest compared OMol25 entry of this formula, charge and spin): 231.9 kJ/mol
LUMO level: 1.636 eV
HOMO energy: -0.18201 hartree

Atom charges from the Löwdin analysis, given in e for atoms 1 to 4: number 1, K, carries 0.680; number 2, C, carries -0.069; number 3, C, carries -0.298; number 4, N, carries 0.012

Entry 2:
Density functional theory data (wB97M-V/def2-TZVPD) for a 2-piece molecular cluster, BrClFNO overall in a non-equilibrium geometry.

```
! RIJCOSX wB97M-V def2-TZVPD def2/J DEFGRID3
* xyz 0 3
N -0.026 -1.022 -0.284
O -1.100 -0.886 -0.523
F 0.831 1.517 -1.234
Cl -2.389 0.360 0.547
Br 2.560 2.082 -1.318
*
```

Summary:
Relative energy (zero: lowest compared OMol25 entry of this formula, charge and spin): 177.9 kJ/mol
LUMO level (spin up / spin down): -1.561 / -4.276 eV
********
**The text goes on:**

Mineral helps understanding of Earth

There's debate about how the diamonds end up containing the material. One school of thought suggests the diamonds come up via an inner churning inside the Earth. But Pearson thinks that process would be too slow.
He thinks the kimberlites, which are full of dissolved carbon dioxide, explode and send the rocks toward the surface. "Some part of them starts life very, very deep in the Earth and literally blasts this thing toward the surface — the diamonds and the inclusion — and that's how you get these unique materials preserved," Pearson said.
The new find confirms, for the first time, that calcium silicate perovskite exists.
Pearson said he hopes to use the material to further understand the timeframe for Earth's carbon cycle.
"[The diamond] provides a unique window to allow us to see these unique pieces of material from that depth."